Retype the block underneath from the first line to the one with "ZrIr2Se. Source:" with every line break kept.

........
The following is a DFT calculation (GGA-PBE) of a relaxed structure of Zr2TlAg.

Unit cell a=6.1260 b=8.7499 c=3.2044 alpha=90.00 beta=90.13 gamma=90.00
With the nearest neighbours (Å) after each atom.
Space group C2/m (No. 12)
One atom of each set of equivalent atoms:
Zr 0.2500 0.2500 0.0000  4 Zr 3.06-3.20, 4 Tl 3.11-3.12, 4 Ag 3.11-3.12
Tl 0.0000 0.0000 0.5000  2 Ag 3.06, 8 Zr 3.11-3.12, 2 Tl 3.20
Ag 0.0000 0.5000 0.5000  2 Tl 3.06, 8 Zr 3.11-3.12, 2 Ag 3.20

Properties
- Fermi-level density of states: 0.980 states/eV/atom
- Magnetic moment: 0.0 Bohr magnetons per cell
- Formation energy: -0.05 eV per atom
- Crystal system: monoclinic

----------

No. 1
IrRuNF2: optimized geometry, PBE-GGA.

Unit cell a=4.466 b=4.466 c=3.670 alpha=90.00 beta=90.00 gamma=90.00
Positions (direct):
Ir 0.000 0.000 0.000
Ru 0.500 0.500 0.500
N 0.000 0.000 0.500
F 0.000 0.500 0.000
F 0.500 0.000 0.000

Output
E in Ry per atom: -0.4096
SG: P4/mmm (123)
ΔE to the lowest computed polymorph in meV/atom: 0.0
Raw formation energy in eV/atom: 0.468


No. 2
Sc2TeAuCl: optimized geometry, PBE-GGA.

Unit cell a=5.346 b=5.346 c=5.277 alpha=90.00 beta=90.00 gamma=90.00
Positions (direct):
Sc 0.000 0.500 0.000
Sc 0.500 0.000 0.000
Te 0.000 0.000 0.500
Au 0.000 0.000 0.000
Cl 0.500 0.500 0.500

Output
E in Ry per atom: -0.3165
SG: P4/mmm (123)
Raw formation energy in eV/atom: -0.120


No. 3
BaBeSb3: optimized geometry, PBE-GGA.

Unit cell a=6.305 b=6.305 c=6.305 alpha=90.00 beta=90.00 gamma=90.00
Positions (direct):
Ba 0.000 0.000 0.000
Be 0.500 0.500 0.500
Sb 0.000 0.000 0.500
Sb 0.000 0.500 0.000
Sb 0.500 0.000 0.000

Output
E in Ry per atom: -0.1560
SG: Pm-3m (221)
ΔE to the lowest computed polymorph in meV/atom: 1596.1
Raw formation energy in eV/atom: 1.480

----------

An optimized crystal structure of ZrIr2Se. Source: Alexandria via LeMat-Bulk, functional PBE-GGA.

N(E_F): 3.6 states/eV per cell

abc: 3.5440 3.5440 5.7203
angles: 90.00 90.00 90.00
Fractional positions:
1 Ir 0.0000 0.0000 0.0503
2 Ir 0.5000 0.5000 0.1918
3 Se 0.0000 0.0000 0.5097
4 Zr 0.5000 0.5000 0.7482

An optimized crystal structure of ZnOs2Se. Source: Alexandria via LeMat-Bulk, functional PBE-GGA.

ΔE to the lowest computed polymorph: 0 meV per atom
N(E_F): 3.6 states/eV per cell

abc: 2.8721 2.8721 7.9749
angles: 90.00 90.00 90.00
Fractional positions:
1 Os 0.0000 0.0000 0.0160
2 Os 0.5000 0.5000 0.2318
3 Se 0.0000 0.0000 0.4547
4 Zn 0.5000 0.5000 0.7975

An optimized crystal structure of Tb2Zn5Pd4. Source: Alexandria via LeMat-Bulk, functional PBE-GGA.

Energy of formation from the pure elements: -0.60 eV/atom
N(E_F): 5.6 states/eV per cell

abc: 5.2852 5.2514 8.8229
angles: 81.33 72.57 59.79
Fractional positions:
1 Tb 0.8595 0.0000 0.2810
2 Tb 0.1405 0.0000 0.7190
3 Zn 0.5000 0.0000 0.0000
4 Zn 0.0000 0.5000 0.0000
5 Zn 0.5000 0.5000 0.0000
6 Zn 0.2500 0.5000 0.5000
7 Zn 0.7500 0.5000 0.5000
8 Pd 0.4656 0.3242 0.7446
9 Pd 0.5344 0.6758 0.2554
10 Pd 0.2102 0.3242 0.2554
11 Pd 0.7898 0.6758 0.7446

An optimized crystal structure of Sm4Ho4Al. Source: Alexandria via LeMat-Bulk, functional PBE-GGA.

Energy of formation from the pure elements: -0.03 eV/atom
N(E_F): 12.2 states/eV per cell

abc: 4.8636 7.8773 7.8773
angles: 84.53 72.02 72.02
Fractional positions:
1 Sm 0.6588 0.6823 0.0000
2 Sm 0.3412 0.3177 0.0000
3 Sm 0.6588 0.0000 0.6823
4 Sm 0.3412 0.0000 0.3177
5 Ho 0.6674 0.3326 0.3327
6 Ho 0.3326 0.6674 0.6673
7 Ho 0.0000 0.6673 0.3326
8 Ho 0.0000 0.3327 0.6674
9 Al 0.0000 0.0000 0.0000

An optimized crystal structure of InMo2Pt. Source: Alexandria via LeMat-Bulk, functional PBE-GGA.

Energy of formation from the pure elements: 0.07 eV/atom
N(E_F): 2.5 states/eV per cell

abc: 4.3484 2.8037 6.1852
angles: 63.15 90.00 90.00
Fractional positions:
1 In 0.5000 0.7500 0.7500
2 Mo 0.0000 0.9798 0.0162
3 Mo 0.0000 0.5202 0.4838
4 Pt 0.5000 0.2500 0.2500

An optimized crystal structure of BaCoPb2. Source: Alexandria via LeMat-Bulk, functional PBE-GGA.
........

The following is a DFT calculation (GGA-PBE) of a relaxed structure of Zr2TlAg.

Unit cell a=6.1260 b=8.7499 c=3.2044 alpha=90.00 beta=90.13 gamma=90.00
With the nearest neighbours (Å) after each atom.
Space group C2/m (No. 12)
One atom of each set of equivalent atoms:
Zr 0.2500 0.2500 0.0000  4 Zr 3.06-3.20, 4 Tl 3.11-3.12, 4 Ag 3.11-3.12
Tl 0.0000 0.0000 0.5000  2 Ag 3.06, 8 Zr 3.11-3.12, 2 Tl 3.20
Ag 0.0000 0.5000 0.5000  2 Tl 3.06, 8 Zr 3.11-3.12, 2 Ag 3.20

Properties
- Fermi-level density of states: 0.980 states/eV/atom
- Magnetic moment: 0.0 Bohr magnetons per cell
- Formation energy: -0.05 eV per atom
- Crystal system: monoclinic

----------

No. 1
IrRuNF2: optimized geometry, PBE-GGA.

Unit cell a=4.466 b=4.466 c=3.670 alpha=90.00 beta=90.00 gamma=90.00
Positions (direct):
Ir 0.000 0.000 0.000
Ru 0.500 0.500 0.500
N 0.000 0.000 0.500
F 0.000 0.500 0.000
F 0.500 0.000 0.000

Output
E in Ry per atom: -0.4096
SG: P4/mmm (123)
ΔE to the lowest computed polymorph in meV/atom: 0.0
Raw formation energy in eV/atom: 0.468


No. 2
Sc2TeAuCl: optimized geometry, PBE-GGA.

Unit cell a=5.346 b=5.346 c=5.277 alpha=90.00 beta=90.00 gamma=90.00
Positions (direct):
Sc 0.000 0.500 0.000
Sc 0.500 0.000 0.000
Te 0.000 0.000 0.500
Au 0.000 0.000 0.000
Cl 0.500 0.500 0.500

Output
E in Ry per atom: -0.3165
SG: P4/mmm (123)
Raw formation energy in eV/atom: -0.120


No. 3
BaBeSb3: optimized geometry, PBE-GGA.

Unit cell a=6.305 b=6.305 c=6.305 alpha=90.00 beta=90.00 gamma=90.00
Positions (direct):
Ba 0.000 0.000 0.000
Be 0.500 0.500 0.500
Sb 0.000 0.000 0.500
Sb 0.000 0.500 0.000
Sb 0.500 0.000 0.000

Output
E in Ry per atom: -0.1560
SG: Pm-3m (221)
ΔE to the lowest computed polymorph in meV/atom: 1596.1
Raw formation energy in eV/atom: 1.480

----------

An optimized crystal structure of ZrIr2Se. Source: Alexandria via LeMat-Bulk, functional PBE-GGA.